Assignment:
It remains to copy everything below without altering anything.

Excerpt:
=====
{
  "formula": "C24H27B2Cl4O3S",
  "method": "ωB97M-V/def2-TZVPD",
  "symbols": ["Cl", "B", "Cl", "Cl", "O", "C", "C", "C", "C", "C", "C", "C", "H", "H", "H", "H", "H", "H", "C", "C", "C", "C", "C", "B", "C", "C", "C", "C", "Cl", "C", "C", "O", "C", "C", "C", "C", "C", "C", "O", "S", "H", "H", "H", "H", "H", "H", "H", "H", "H", "H", "H", "H", "H", "H", "H", "H", "H", "H", "H", "H", "H"],
  "positions_angstrom": [[1.065409, -2.911430, 4.050716], [1.305314, -1.034806, 3.932643], [0.294721, -0.173448, 5.238637], [3.144085, -0.635032, 4.144042], [0.976370, -0.635371, 2.623259], [-0.039837, 0.106404, 1.990928], [-1.428742, -0.369751, 2.384533], [-2.346569, 0.652850, 2.679727], [-3.439605, 0.407351, 3.499265], [-3.672145, -0.886575, 3.987878], [-2.832055, -1.911529, 3.580642], [-1.725400, -1.673074, 2.765857], [-0.036094, 1.191260, 2.282697], [-2.151797, 1.655949, 2.288382], [-4.095888, 1.232520, 3.773335], [-4.493917, -1.066123, 4.691434], [-3.015070, -2.932087, 3.909125], [-1.080034, -2.478989, 2.455336], [0.471842, -0.646055, -5.882441], [0.021196, -0.167690, -4.544026], [-0.150526, 1.159379, -4.134188], [-0.690885, 1.286502, -2.832889], [-0.885090, 0.050727, -2.216720], [0.731181, 0.244177, 0.630973], [-1.617910, -0.189897, -1.044716], [-2.483258, 0.813155, -0.559561], [-3.798789, 0.435184, -0.283664], [-4.080818, -0.940470, -0.202773], [-5.707264, -1.455801, -0.074523], [-3.078418, -1.924199, -0.322606], [-1.799364, -1.527040, -0.668919], [1.345793, -0.745992, -0.112020], [2.599306, -0.082426, -0.484186], [3.661329, -0.764488, 0.352126], [2.928557, -0.313992, -1.941680], [2.307958, 1.465270, -0.153872], [2.897099, 1.933276, 1.170781], [2.606308, 2.471900, -1.256200], [0.861951, 1.507761, 0.074320], [-0.400988, -1.259188, -3.270692], [0.479438, 0.176939, -6.617713], [1.489274, -1.078323, -5.854643], [-0.221126, -1.425558, -6.242353], [0.044305, 2.003284, -4.802253], [-1.082610, 2.201708, -2.398486], [-2.086025, 1.819169, -0.398140], [-4.603663, 1.172511, -0.125939], [-3.301342, -2.974039, -0.157626], [-0.907696, -2.145823, -0.640426], [4.637734, -0.289261, 0.221148], [3.404346, -0.801144, 1.417468], [3.736386, -1.799266, 0.010687], [3.927381, 0.113775, -2.116609], [2.975842, -1.387375, -2.158632], [2.208737, 0.137277, -2.633279], [3.975783, 2.104258, 1.103226], [2.391773, 2.871214, 1.440689], [2.697109, 1.212857, 1.979199], [3.692286, 2.478646, -1.431902], [2.083739, 2.249762, -2.198495], [2.290352, 3.471190, -0.916851]],
  "forces_ev_per_angstrom": [[0.203, -0.105, 0.294], [-0.261, 0.163, -0.183], [0.014, 0.073, 0.178], [0.131, -0.056, 0.292], [0.459, -0.073, -0.327], [-0.189, 0.259, 0.425], [-0.097, 0.788, 0.143], [-0.095, -0.412, 0.207], [-0.142, -0.133, -0.187], [-0.016, 0.438, -0.014], [-0.059, -0.385, -0.193], [-0.287, 0.462, -0.099], [0.172, -0.741, 0.419], [-0.004, -0.223, 0.388], [0.061, -0.195, -0.024], [0.338, -0.001, -0.357], [-0.008, 0.149, 0.025], [0.173, -0.048, 0.247], [0.184, -0.320, -0.331], [0.017, 1.545, 0.737], [0.096, -1.058, -0.711], [-0.256, -1.276, 0.167], [2.114, 1.688, -1.894], [-2.401, -0.608, -1.329], [-1.003, -0.414, 1.205], [-0.552, -0.556, 0.056], [0.308, -0.314, 0.678], [0.938, 0.078, -0.797], [-0.775, -0.181, 0.254], [-0.156, 0.470, 0.622], [-0.711, 0.496, 0.249], [0.741, 0.800, 0.492], [-0.424, 0.017, -0.162], [0.247, 0.063, 0.426], [-0.005, 0.048, -0.400], [-0.408, 0.330, -0.269], [0.149, -0.007, 0.205], [0.305, -0.081, -0.110], [1.176, -0.449, 0.373], [-0.119, 0.923, -0.045], [-0.049, -0.293, 0.376], [-0.408, 0.129, -0.009], [0.335, 0.241, -0.036], [-0.066, -0.331, 0.213], [0.376, -0.117, -0.102], [-0.509, -0.070, -0.765], [0.605, -0.474, 0.160], [-0.094, 0.215, 0.150], [-0.326, -0.415, -0.528], [-0.007, 0.004, 0.056], [0.058, 0.140, -0.251], [0.026, 0.046, 0.000], [-0.267, -0.107, -0.183], [-0.030, 0.156, 0.139], [0.099, -0.034, 0.158], [-0.067, -0.051, 0.071], [0.241, -0.174, -0.092], [0.158, 0.175, -0.208], [-0.253, 0.168, -0.115], [0.168, -0.021, 0.377], [0.151, -0.339, -0.062]],
=====

Written answer:
{
  "formula": "C24H27B2Cl4O3S",
  "method": "ωB97M-V/def2-TZVPD",
  "symbols": ["Cl", "B", "Cl", "Cl", "O", "C", "C", "C", "C", "C", "C", "C", "H", "H", "H", "H", "H", "H", "C", "C", "C", "C", "C", "B", "C", "C", "C", "C", "Cl", "C", "C", "O", "C", "C", "C", "C", "C", "C", "O", "S", "H", "H", "H", "H", "H", "H", "H", "H", "H", "H", "H", "H", "H", "H", "H", "H", "H", "H", "H", "H", "H"],
  "positions_angstrom": [[1.065409, -2.911430, 4.050716], [1.305314, -1.034806, 3.932643], [0.294721, -0.173448, 5.238637], [3.144085, -0.635032, 4.144042], [0.976370, -0.635371, 2.623259], [-0.039837, 0.106404, 1.990928], [-1.428742, -0.369751, 2.384533], [-2.346569, 0.652850, 2.679727], [-3.439605, 0.407351, 3.499265], [-3.672145, -0.886575, 3.987878], [-2.832055, -1.911529, 3.580642], [-1.725400, -1.673074, 2.765857], [-0.036094, 1.191260, 2.282697], [-2.151797, 1.655949, 2.288382], [-4.095888, 1.232520, 3.773335], [-4.493917, -1.066123, 4.691434], [-3.015070, -2.932087, 3.909125], [-1.080034, -2.478989, 2.455336], [0.471842, -0.646055, -5.882441], [0.021196, -0.167690, -4.544026], [-0.150526, 1.159379, -4.134188], [-0.690885, 1.286502, -2.832889], [-0.885090, 0.050727, -2.216720], [0.731181, 0.244177, 0.630973], [-1.617910, -0.189897, -1.044716], [-2.483258, 0.813155, -0.559561], [-3.798789, 0.435184, -0.283664], [-4.080818, -0.940470, -0.202773], [-5.707264, -1.455801, -0.074523], [-3.078418, -1.924199, -0.322606], [-1.799364, -1.527040, -0.668919], [1.345793, -0.745992, -0.112020], [2.599306, -0.082426, -0.484186], [3.661329, -0.764488, 0.352126], [2.928557, -0.313992, -1.941680], [2.307958, 1.465270, -0.153872], [2.897099, 1.933276, 1.170781], [2.606308, 2.471900, -1.256200], [0.861951, 1.507761, 0.074320], [-0.400988, -1.259188, -3.270692], [0.479438, 0.176939, -6.617713], [1.489274, -1.078323, -5.854643], [-0.221126, -1.425558, -6.242353], [0.044305, 2.003284, -4.802253], [-1.082610, 2.201708, -2.398486], [-2.086025, 1.819169, -0.398140], [-4.603663, 1.172511, -0.125939], [-3.301342, -2.974039, -0.157626], [-0.907696, -2.145823, -0.640426], [4.637734, -0.289261, 0.221148], [3.404346, -0.801144, 1.417468], [3.736386, -1.799266, 0.010687], [3.927381, 0.113775, -2.116609], [2.975842, -1.387375, -2.158632], [2.208737, 0.137277, -2.633279], [3.975783, 2.104258, 1.103226], [2.391773, 2.871214, 1.440689], [2.697109, 1.212857, 1.979199], [3.692286, 2.478646, -1.431902], [2.083739, 2.249762, -2.198495], [2.290352, 3.471190, -0.916851]],
  "forces_ev_per_angstrom": [[0.203, -0.105, 0.294], [-0.261, 0.163, -0.183], [0.014, 0.073, 0.178], [0.131, -0.056, 0.292], [0.459, -0.073, -0.327], [-0.189, 0.259, 0.425], [-0.097, 0.788, 0.143], [-0.095, -0.412, 0.207], [-0.142, -0.133, -0.187], [-0.016, 0.438, -0.014], [-0.059, -0.385, -0.193], [-0.287, 0.462, -0.099], [0.172, -0.741, 0.419], [-0.004, -0.223, 0.388], [0.061, -0.195, -0.024], [0.338, -0.001, -0.357], [-0.008, 0.149, 0.025], [0.173, -0.048, 0.247], [0.184, -0.320, -0.331], [0.017, 1.545, 0.737], [0.096, -1.058, -0.711], [-0.256, -1.276, 0.167], [2.114, 1.688, -1.894], [-2.401, -0.608, -1.329], [-1.003, -0.414, 1.205], [-0.552, -0.556, 0.056], [0.308, -0.314, 0.678], [0.938, 0.078, -0.797], [-0.775, -0.181, 0.254], [-0.156, 0.470, 0.622], [-0.711, 0.496, 0.249], [0.741, 0.800, 0.492], [-0.424, 0.017, -0.162], [0.247, 0.063, 0.426], [-0.005, 0.048, -0.400], [-0.408, 0.330, -0.269], [0.149, -0.007, 0.205], [0.305, -0.081, -0.110], [1.176, -0.449, 0.373], [-0.119, 0.923, -0.045], [-0.049, -0.293, 0.376], [-0.408, 0.129, -0.009], [0.335, 0.241, -0.036], [-0.066, -0.331, 0.213], [0.376, -0.117, -0.102], [-0.509, -0.070, -0.765], [0.605, -0.474, 0.160], [-0.094, 0.215, 0.150], [-0.326, -0.415, -0.528], [-0.007, 0.004, 0.056], [0.058, 0.140, -0.251], [0.026, 0.046, 0.000], [-0.267, -0.107, -0.183], [-0.030, 0.156, 0.139], [0.099, -0.034, 0.158], [-0.067, -0.051, 0.071], [0.241, -0.174, -0.092], [0.158, 0.175, -0.208], [-0.253, 0.168, -0.115], [0.168, -0.021, 0.377], [0.151, -0.339, -0.062]],